Page 60 of Wicked Embers
“Are you twelve or special needs?” Nikolas sneers. “This isn’t a clubhouse or playground.”
“No password, no entry,” Sabrina states and I’m sure she’s gone mad.
Olive’s composure cracks. “Stop playing games, you little bitch. Finish wrapping those journals and then you’re taking us to Leigh.” She turns to Nikolas and says something in Greek looking at me.
A cold chill runs down my spine. My hand inches toward my gun under the table.
“Oh, I wouldn’t do that,” Sabrina tells them and rattles off something in Greek—impressive she speaks Greek too. She turns to me. “Olive just told Nikolas that they must kill you.”
“Goo to know!” My hand grips my gun a little tighter. "To cowardly to tell me in English?"
“Don’t worry. I told them if they killed you they’d die because there’s poison on the door handle that they both just touched,” Sabrina explains. “And only I, have the antidote which is hidden.”
I look at her in amazement. Crafty!
“You’re lying!” Nikolas says, his eyes narrowing as he looks at his hands.
“I believe it was your late wives favorite way of getting rid of everyone in her way.” Sabrina gives them a smug smile. “The moment you touched that door handle, you were exposed to a poison. You’ve got about twenty minutes before your organs start shutting down.”
“You fucking little whore!” Olive raises her gun at Sabrina.
“No!” Nikolas barks. “Don’t. We need the antidote in case she’s not lying.”
"Oh! I'm not lying!" Sabrina assures them.
“Yes, but I can still punch her.” Olive lunges at Sabrina, and I seize the moment. My hand whips up, and I fire. The shot echoes through the cabin, and Nikolas staggers, his gun has been knocked from his hand and he’s clutching his shoulder.
Sabrina moves like a viper, slamming a chair into Olive’s head. The woman crumples to the floor, unconscious.
Nikolas leans against the wall, blood staining his shirt. His gaze locks with mine, furious and defiant. “This isn’t over, Molchanov.” He turns and heads down the hallway of the cabin looking for another way out.
“No,” I growl. “It’s not.”
I’m about to rush after the fucker but Sabrina stops me.
“No don’t.” She grabs her bag and shoves the journals inside. “We need to go,” she hisses. “Leave him.” The venom in her voice jolts me along with the spark of malice in her eyes. “He’s not getting out of here alive this time!”
I hesitate, torn between finishing Nikolas and getting Sabrina out safely
“Bring her.” She nods towards Olive. “She probably knows just as much as has that coward.” Sabrina glances to where Nikolas ran.
I holster my gun and scoop Olive’s limp body over my shoulder. Sabrina follows me outside, locking the cabin door behind her.
“What about the poison?” I give her a worried look.
“What poison?” She gives me a cheeky smile. “I was just testing to see who these two really are and now I know.”
I make a mental note to ask what she means later. We rush to my SUV. I dump Olive in the backseat and slide behind the wheel. Sabrina hops in the front passenger seat.
As we drive away, she fidgets with something in her lap. I glance over, noticing the small remote in her hand.
“What’s that?” I demand.
She presses a button without answering.
The explosion rocks the night, a fireball consuming the cabin. Flames reach for the sky as the structure collapses in on itself.
Here the page breaks off for records of molecules >
No. 1
C16H25BN4O2PtS as an isolated structure. Source: the OMol25 dataset; level of theory: ωB97M-V with the def2-TZVPD basis set.

## Properties
HOMO-LUMO gap (spin up / spin down) ... 6.65 / 6.65 eV
Calculated total energy ... -41814.5036 eV

Positions of all 50 atoms, in Å:
H1 0.6304 5.6034 0.6240
B1 -2.1550 -0.4411 1.1921
H2 -4.7027 -3.1850 2.8327
C1 -3.3188 -1.3916 4.3750
C2 1.4226 -0.0870 2.4254
O1 -3.4722 -0.0812 0.9753
H3 -0.5844 5.1275 2.7390
H4 2.7272 -0.1062 4.1223
N1 0.2713 3.1040 1.2175
C3 1.5466 2.2067 3.5955
H5 1.0930 3.1863 3.4761
H6 -2.7254 -2.2183 4.7674
H7 -5.6063 -1.6306 1.1014
H8 -4.9032 0.8500 3.8551
C4 0.9913 -2.1461 1.4322
Pt1 -0.5281 0.2803 0.3145
H9 -2.8687 -0.4589 4.7086
N2 -1.0723 4.5422 0.0726
C5 2.4256 -2.0734 3.3253
C6 -0.6380 3.2834 0.2878
N3 0.6809 1.8199 1.3213
H10 0.4520 -2.6714 0.6571
C7 -4.2175 -0.3611 2.1743
H11 -6.1226 0.0458 1.2893
C8 -0.4540 5.7158 0.6685
H12 -0.4623 6.8770 2.4893
H13 -4.6629 1.7209 2.3287
H14 1.1852 1.7506 4.5186
H15 -0.7255 6.5690 0.0461
H16 -1.7372 4.6582 -0.6715
C9 2.2353 -0.7060 3.3702
C10 -0.8998 5.9542 2.1051
N4 0.7820 -0.8300 1.4895
O2 -2.0381 -1.2091 2.3494
C11 -3.3609 -1.4712 2.8593
H17 -2.9751 -3.5722 2.7744
C12 1.2130 1.3623 2.4027
H18 -4.3250 -1.4661 4.7933
H19 -3.7839 -2.9481 1.3323
H20 -1.9858 6.0393 2.1602
H21 -6.2025 -1.0554 2.6709
C13 -4.2656 0.9374 2.9740
H22 3.0577 -2.5592 4.0568
H23 1.9360 -3.8785 2.2424
C14 -5.6217 -0.7853 1.7860
H24 2.6276 2.3416 3.6842
S1 -1.4143 2.0712 -0.7520
C15 -3.7399 -2.8804 2.4198
C16 1.8088 -2.8090 2.3244
H25 -3.2648 1.2385 3.2878



No. 2
A 3-piece molecular cluster, C16H25BO9 overall at a distorted geometry. Source: the OMol25 dataset; level of theory: ωB97M-V with the def2-TZVPD basis set.

## Properties
HOMO-LUMO gap ... 9.45 eV
Calculated total energy ... -36101.7895 eV
SMILES ... CCB(O)[C@@H](OC=O)c1ccccc1.COC(=O)OC.COC(=O)OC

Positions of all 51 atoms, in Å:
H1 -2.9202 -10.4674 -1.0012
C1 1.1127 3.9779 -0.8110
C2 -2.8406 -9.6343 -1.6937
O1 -1.2208 -6.6456 -1.0021
B1 1.9460 5.3305 -1.1212
O2 1.6976 1.2568 0.8837
H2 2.9806 1.9705 -0.4335
C3 -2.2790 4.3053 0.8860
C4 -0.9396 -5.3985 -1.6501
O3 -2.3061 -7.3271 -2.8634
C5 -0.3088 -5.5236 2.5796
C6 -2.9310 5.1474 -0.0001
O4 0.5208 -3.6306 0.9491
C7 -0.3311 4.3546 -0.5056
H3 -3.8378 -9.2818 -1.9505
H4 -1.8642 -4.8826 -1.9022
C8 2.1471 2.1570 0.2535
H5 3.6710 5.2578 -2.0897
H6 -1.2174 -5.2977 2.0248
C9 -0.9659 3.8960 0.6405
H7 1.1479 3.2798 -1.6466
C10 0.6578 -3.4622 2.1350
O5 1.1946 -2.3986 2.7181
C11 -1.9143 -7.5076 -1.7404
H8 -0.5013 5.5654 -2.2869
H9 -0.4866 3.2401 1.3456
H10 -2.3155 -9.9588 -2.5901
C12 -0.9937 5.1958 -1.3940
H11 -3.9471 5.4552 0.2066
H12 -0.3406 -5.5585 -2.5447
O6 2.7316 5.3681 -2.2655
O7 1.7106 3.4187 0.3981
C13 1.6367 -1.3781 1.8085
O8 -2.1033 -8.6149 -1.0181
H13 2.2159 7.4418 -0.7822
O9 0.2899 -4.3251 3.0819
H14 0.8033 -0.9965 1.2304
H15 2.0473 -0.5792 2.4104
C14 2.6832 6.4540 1.1127
H16 0.3894 -6.0678 1.9467
H17 -2.8211 6.2676 -1.8209
H18 2.2938 7.1045 1.8907
“Jesus Christ,” I hiss.